ECS Day Two Operations GuidePDF version

Create an environment-wide backup

........
(1)
A relaxed LiTeNO2 crystal. Source: the Alexandria database, functional GGA-PBE.

Computed properties:
As for the formation energy from raw total energies: 0.465 eV/atom. As for the density of states at the Fermi level: 0.409 states/eV per atom.

abc: 3.608 3.608 3.952
angles: 90.00 90.00 90.00
Sites, in units of the cell vectors:
Li1 0.000 0.000 0.000
Te1 0.500 0.500 0.500
N1 0.000 0.000 0.500
O1 0.000 0.500 0.000
O2 0.500 0.000 0.000


(2)
A relaxed NdZn2Cd4 crystal. Source: the Alexandria database, functional GGA-PBE.

Computed properties:
The value obtained for the formation energy is -1.49 eV/f.u. As for the density of states at the Fermi level: 0.546 states/eV per atom.

abc: 8.024 8.024 4.452
angles: 90.00 90.00 147.62
Sites, in units of the cell vectors:
Nd1 0.000 0.000 0.000
Zn1 0.423 0.577 0.500
Zn2 0.577 0.423 0.500
Cd1 0.177 0.823 0.500
Cd2 0.320 0.680 0.000
Cd3 0.680 0.320 0.000
Cd4 0.823 0.177 0.500


(3)
A relaxed AsRh crystal. Source: the Alexandria database, functional GGA-PBE.

Computed properties:
The value obtained for the formation energy is -0.46 eV/f.u. As for the density of states at the Fermi level: 0.599 states/eV per atom.

abc: 3.125 3.125 8.207
angles: 90.00 90.00 120.00
Sites, in units of the cell vectors:
As1 0.333 0.667 0.000
As2 0.667 0.333 0.500
Rh1 0.333 0.667 0.303
Rh2 0.667 0.333 0.803


(4)
A relaxed Ce5Si2Sb crystal. Source: the Alexandria database, functional GGA-PBE.

Computed properties:
As for the formation energy from raw total energies: -0.624 eV/atom. As for the density of states at the Fermi level: 2.863 states/eV per atom.

abc: 8.890 8.890 8.890
angles: 127.89 127.89 76.80
Sites, in units of the cell vectors:
Ce1 0.000 0.000 0.000
Ce2 0.030 0.530 0.842
Ce3 0.188 0.030 0.500
Ce4 0.312 0.812 0.842
Ce5 0.470 0.312 0.500
Ce6 0.500 0.500 0.000
Ce7 0.530 0.688 0.500
Ce8 0.688 0.188 0.158
Ce9 0.812 0.970 0.500
Ce10 0.970 0.470 0.158
Si1 0.121 0.379 0.500
Si2 0.379 0.879 0.259
Si3 0.621 0.121 0.741
Si4 0.879 0.621 0.500
Sb1 0.250 0.250 0.000
Sb2 0.750 0.750 0.000


Number 1 is which compound?
LiTeNO2


Which formula does entry 1 have?
LiTeNO2

----------

DFT (meta-GGA SCAN) results for a PBEsol-optimized structure of KAg3B.

abc: 4.516 4.516 4.516
angles: 90.00 90.00 90.00
Space group Pm-3m (No. 221)
Inequivalent atoms, fractional coordinates:
K  0.000  0.000  0.000 x1
Ag  0.000  0.500  0.500 x3
B  0.500  0.500  0.500 x1

Summary:
Theoretical density, g cm⁻³: 6.736
Energy relative to the elements, eV/atom: 0.334

DFT (meta-GGA SCAN) results for a PBEsol-optimized structure of Zr2NiIr.

abc: 3.196 3.196 6.522
angles: 90.00 90.00 90.00
Space group P4/mmm (No. 123)
Inequivalent atoms, fractional coordinates:
Zr  0.000  0.000  0.243 x2
Ni  0.500  0.500  0.000 x1
Ir  0.500  0.500  0.500 x1

Summary:
Theoretical density, g cm⁻³: 10.804
Energy relative to the elements, eV/atom: -0.700

DFT (meta-GGA SCAN) results for a PBEsol-optimized structure of Al2Bi2Sb.

abc: 7.707 7.707 4.153
angles: 90.00 90.00 90.00
........
[The text goes on]

Data Recovery Service (DRS), a microservice in Cloudera Data Services on premises, enables you to create an environment-wide backup of Kubernetes namespaces and resources on Cloudera Embedded Container Service and OpenShift Container Platform (OCP) in Cloudera Management Console on premises.

Cloudera recommends that you create a backup of your Kubernetes namespace before a maintenance activity, before you upgrade, or in general, as a best practice.

Role Required: PowerUser

By default, the data recovery service is located in the [***CDP_INSTALLATION_NAMESPACE***]-drs namespace. For example, if the Cloudera Data Services on premises installation is located in the cdp namespace, the data recovery service namespace is automatically named cdp-drs. If you have multiple Cloudera Data Services on premises installations (as in OCP), the data recovery service is named accordingly.

____________
{
  "formula": "K2NaRhAu",
  "functional": "GGA-PBE",
  "state": "relaxed",
  "cell": [[-3.580, -2.853, -4.155], [2.517, -4.218, 0.728], [-3.948, -1.581, 4.487]],
  "species": ["K", "Au", "Rh", "K", "Na"],
  "frac_coords": [[0.500, 0.000, 0.000], [0.500, 0.500, 0.500], [0.000, 0.500, 0.000], [0.000, 0.000, 0.500], [0.000, 0.000, 0.000]],
  "formation_enthalpy_0k_mev_per_atom": 701,
  "space_group": "P4/mmm",
  "n_ef_per_ev_cell": 3.44,
  "magnetic_moment_mub_per_fu": 1.0,
  "dft_energy_ev_per_atom": -2.13
}

***

{
  "formula": "TiCdRh2",
  "functional": "GGA-PBE",
  "state": "relaxed",
  "cell": [[-0.540, -2.306, -2.457], [4.226, -0.602, -0.364], [-0.187, -3.100, 2.950]],
  "species": ["Rh", "Rh", "Cd", "Ti"],
  "frac_coords": [[0.000, 0.000, 0.500], [0.000, 0.500, 0.000], [0.500, 0.500, 0.500], [0.500, 0.000, 0.000]],
  "formation_enthalpy_0k_mev_per_atom": -499,
  "space_group": "P4/mmm",
  "n_ef_per_ev_cell": 0.70,
  "magnetic_moment_mub_per_fu": 0.0,
  "dft_energy_ev_per_atom": -6.38
}

***

{
  "formula": "Ce3ThH",
  "functional": "GGA-PBE",
  "state": "relaxed",
  "cell": [[-4.231, -0.279, -2.444], [-2.437, -0.186, 4.240], [-0.335, 4.883, 0.022]],
  "species": ["Ce", "Ce", "Ce", "Th", "H"],
  "frac_coords": [[0.000, 0.000, 0.500], [0.000, 0.500, 0.000], [0.500, 0.000, 0.000], [0.500, 0.500, 0.500], [0.000, 0.000, 0.000]],
  "space_group": "Pm-3m",
  "n_ef_per_ev_cell": 11.08,
  "magnetic_moment_mub_per_fu": 0.0,
  "dft_energy_ev_per_atom": -5.84
}

***

{
  "formula": "GdErCd",
  "functional": "GGA-PBE",
  "state": "relaxed",
  "cell": [[-2.929, -0.252, 1.969], [-2.272, -2.904, -3.752], [2.768, -2.333, 3.818]],
  "species": ["Cd", "Gd", "Er"],
  "frac_coords": [[0.700, 0.667, 0.333], [0.371, 0.333, 0.667], [0.929, 0.000, 0.000]],
  "formation_enthalpy_0k_mev_per_atom": -81,
  "space_group": "P3m1",
  "n_ef_per_ev_cell": 3.48,
  "magnetic_moment_mub_per_fu": 7.4,
  "relative_energy_ev_per_fu": 0.38,
  "dft_energy_ev_per_atom": -6.60
}

***

Question: What is the formula in the third record?
Answer: Ce3ThH
____________

When you initiate the backup event in the Backup and Restore Manager for Control Plane, the data recovery service takes a backup of the following resources and data:
  • Kubernetes resources associated with the cdp namespace and the embedded vault namespaces of the Control Plane in Cloudera Data Services on premises. The resources include deployment-related information, stateful sets, secrets, and configmaps.
  • Data used by the stateful pods, such as the data in the embedded database and Kubernetes persistent volume claim.

The data recovery service can also back up and restore Kubernetes namespaces behind Cloudera Data Warehouse entities (for example, Cloudera Data Catalog and Virtual Warehouses) on demand.

The following methods are available to back up and restore your environment:

DRS automatic backups
Starting from Cloudera Data Services on premises 1.5.4, DRS automatic back ups for Control Plane, Cloudera Data Warehouse, and Cloudera Data Engineering are enabled by default on Cloudera Embedded Container Service clusters for new installations or after cluster upgrade to version 1.5.4 or higher.
You can disable this option, if required. You can also configure the external storage in Longhorn for Cloudera Embedded Container Service, and then initiate the DRS automatic backup to it. For more information, see DRS automatic backups.
Service-specific CDP CLI options
You can use the CDP CLI options to back up and restore namespaces for Control Plane and Cloudera Data Warehouse.
For the list of available CDP CLI options that you can use for backup and restore purposes, see drscp and dw.
Backup and Restore Manager
You can back up and restore namespaces for Control Plane and Cloudera Data Warehouse on the Backup and Restore Manager page.
To access this page, click the Cloudera Management Console > Dashboard > Backup Overview > View Details option. For more information, see Access Backup and Restore Manager.